To do.
Your job: find the line further below that holds "3.677, 24", then reproduce that line and all lines after it there.
Given.
1.
Starting from DFT lattice parameters and positions (GGA+U), the X-ray diffraction stick pattern of Li9Mn2Co5O16 was calculated for a wavelength of 1.5418 Å.
Peak positions follow from Bragg's law for the DFT cell and can differ from measured ones.

Principal peaks in the range 2θ from 10° to 90°, by angle:
d [Å], I/Imax
4.855, 100
2.549, 14
2.480, 25
2.127, 27
2.062, 53
1.917, 9
1.596, 9
1.484, 14
1.477, 13
1.445, 7

Cell and atoms:
```
Li9Mn2Co5O16
1.0
7.646 -1.445 0.000
7.646 1.445 0.000
-0.650 0.000 13.100
Li Mn Co O
9 2 5 16
Direct
0.000 0.000 0.000 Li
0.121 0.121 0.346 Li
0.243 0.243 0.741 Li
0.373 0.373 0.112 Li
0.504 0.504 0.477 Li
0.562 0.562 0.174 Li
0.626 0.626 0.872 Li
0.749 0.749 0.234 Li
0.876 0.876 0.613 Li
0.315 0.315 0.423 Mn
0.436 0.436 0.800 Mn
0.065 0.065 0.676 Co
0.178 0.178 0.066 Co
0.685 0.685 0.548 Co
0.805 0.805 0.929 Co
0.946 0.946 0.283 Co
0.018 0.018 0.831 O
0.103 0.103 0.521 O
0.159 0.159 0.200 O
0.224 0.224 0.894 O
0.272 0.272 0.566 O
0.350 0.350 0.286 O
0.399 0.399 0.941 O
0.471 0.471 0.659 O
0.525 0.525 0.330 O
0.599 0.599 0.020 O
0.652 0.652 0.701 O
0.732 0.732 0.394 O
0.775 0.775 0.073 O
0.853 0.853 0.769 O
0.896 0.896 0.459 O
0.962 0.962 0.149 O
```

=====

2.
Starting from DFT lattice parameters and positions (GGA+U), the X-ray diffraction stick pattern of VPO5 was calculated for a wavelength of 1.5418 Å.
Peak positions follow from Bragg's law for the DFT cell and can differ from measured ones.

Principal peaks in the range 2θ from 10° to 90°, by angle:
d [Å], I/Imax
5.153, 17
4.540, 100
4.119, 11
3.129, 51
3.051, 44
2.850, 28
2.725, 18
2.577, 25
2.304, 12
1.717, 15

Cell and atoms:
```
VPO5
1.0
4.663 -3.129 0.000
4.663 3.129 0.000
-1.427 0.000 6.101
V P O
2 2 10
Direct
0.188 0.188 0.224 V
0.812 0.812 0.776 V
0.248 0.248 0.750 P
0.752 0.752 0.250 P
0.137 0.137 0.902 O
0.151 0.548 0.792 O
0.154 0.154 0.512 O
0.363 0.363 0.274 O
0.452 0.849 0.208 O
0.548 0.151 0.792 O
0.637 0.637 0.726 O
0.846 0.846 0.488 O
0.849 0.452 0.208 O
0.863 0.863 0.098 O
```

=====

3.
Starting from DFT lattice parameters and positions (GGA+U), the X-ray diffraction stick pattern of Fe2Cl6O5 was calculated for a wavelength of 1.5418 Å.
Peak positions follow from Bragg's law for the DFT cell and can differ from measured ones.

Principal peaks in the range 2θ from 10° to 90°, by angle:
d [Å], I/Imax
5.023, 100
4.975, 94
4.702, 92
3.789, 26
3.677, 24
3.178, 31
2.904, 22
2.755, 40
2.363, 15
2.336, 15

Cell and atoms:
```
Fe2Cl6O5
1.0
13.190 0.000 0.000
0.000 6.707 0.000
0.000 0.000 15.158
Fe Cl O
8 24 20
Direct
0.018 0.011 0.000 Fe
0.226 0.562 0.286 Fe
0.274 0.562 0.786 Fe
0.482 0.011 0.500 Fe
0.518 0.989 0.000 Fe
0.726 0.438 0.286 Fe
0.774 0.438 0.786 Fe
0.982 0.989 0.500 Fe
0.028 0.340 0.978 Cl
0.054 0.129 0.383 Cl
0.078 0.056 0.615 Cl
0.127 0.412 0.786 Cl
0.153 0.293 0.222 Cl
0.173 0.894 0.012 Cl
0.327 0.894 0.512 Cl
0.347 0.293 0.722 Cl
0.373 0.412 0.286 Cl
0.422 0.056 0.115 Cl
0.446 0.129 0.883 Cl
0.472 0.340 0.478 Cl
0.528 0.660 0.978 Cl
0.554 0.871 0.383 Cl
0.578 0.944 0.615 Cl
0.627 0.588 0.786 Cl
0.653 0.707 0.222 Cl
0.673 0.106 0.012 Cl
0.827 0.106 0.512 Cl
0.847 0.707 0.722 Cl
0.873 0.588 0.286 Cl
0.922 0.944 0.115 Cl
0.946 0.871 0.883 Cl
0.972 0.660 0.478 Cl
0.162 0.715 0.217 O
0.168 0.561 0.594 O
0.181 0.555 0.386 O
0.212 0.800 0.796 O
0.235 0.453 0.567 O
0.265 0.453 0.067 O
0.288 0.800 0.296 O
0.319 0.555 0.886 O
0.332 0.561 0.094 O
0.338 0.715 0.717 O
0.662 0.285 0.217 O
0.668 0.439 0.594 O
0.681 0.445 0.386 O
0.712 0.200 0.796 O
0.735 0.547 0.567 O
0.765 0.547 0.067 O
0.788 0.200 0.296 O
0.819 0.445 0.886 O
0.832 0.439 0.094 O
0.838 0.285 0.717 O
```

=====

4.
Starting from DFT lattice parameters and positions (GGA+U), the X-ray diffraction stick pattern of NaSrDyFeO6 was calculated for a wavelength of 1.5418 Å.
Peak positions follow from Bragg's law for the DFT cell and can differ from measured ones.

Principal peaks in the range 2θ from 10° to 90°, by angle:
d [Å], I/Imax
4.690, 28
4.062, 28
Written answer.
3.677, 24
3.178, 31
2.904, 22
2.755, 40
2.363, 15
2.336, 15

Cell and atoms:
```
Fe2Cl6O5
1.0
13.190 0.000 0.000
0.000 6.707 0.000
0.000 0.000 15.158
Fe Cl O
8 24 20
Direct
0.018 0.011 0.000 Fe
0.226 0.562 0.286 Fe
0.274 0.562 0.786 Fe
0.482 0.011 0.500 Fe
0.518 0.989 0.000 Fe
0.726 0.438 0.286 Fe
0.774 0.438 0.786 Fe
0.982 0.989 0.500 Fe
0.028 0.340 0.978 Cl
0.054 0.129 0.383 Cl
0.078 0.056 0.615 Cl
0.127 0.412 0.786 Cl
0.153 0.293 0.222 Cl
0.173 0.894 0.012 Cl
0.327 0.894 0.512 Cl
0.347 0.293 0.722 Cl
0.373 0.412 0.286 Cl
0.422 0.056 0.115 Cl
0.446 0.129 0.883 Cl
0.472 0.340 0.478 Cl
0.528 0.660 0.978 Cl
0.554 0.871 0.383 Cl
0.578 0.944 0.615 Cl
0.627 0.588 0.786 Cl
0.653 0.707 0.222 Cl
0.673 0.106 0.012 Cl
0.827 0.106 0.512 Cl
0.847 0.707 0.722 Cl
0.873 0.588 0.286 Cl
0.922 0.944 0.115 Cl
0.946 0.871 0.883 Cl
0.972 0.660 0.478 Cl
0.162 0.715 0.217 O
0.168 0.561 0.594 O
0.181 0.555 0.386 O
0.212 0.800 0.796 O
0.235 0.453 0.567 O
0.265 0.453 0.067 O
0.288 0.800 0.296 O
0.319 0.555 0.886 O
0.332 0.561 0.094 O
0.338 0.715 0.717 O
0.662 0.285 0.217 O
0.668 0.439 0.594 O
0.681 0.445 0.386 O
0.712 0.200 0.796 O
0.735 0.547 0.567 O
0.765 0.547 0.067 O
0.788 0.200 0.296 O
0.819 0.445 0.886 O
0.832 0.439 0.094 O
0.838 0.285 0.717 O
```

=====

4.
Starting from DFT lattice parameters and positions (GGA+U), the X-ray diffraction stick pattern of NaSrDyFeO6 was calculated for a wavelength of 1.5418 Å.
Peak positions follow from Bragg's law for the DFT cell and can differ from measured ones.

Principal peaks in the range 2θ from 10° to 90°, by angle:
d [Å], I/Imax
4.690, 28
4.062, 28